(Material)
<<<
For Sm4Lu11S22, a PBE-relaxed structure gives the calculated powder X-ray diffraction pattern in this record (Cu Ka).
Kinematic intensities with the Lorentz-polarization factor, no thermal factor.

Cell and atoms:
```
Sm4Lu11S22
1.0
19.253 -1.937 0.000
19.253 1.937 0.000
-0.261 0.000 11.168
Sm Lu S
4 11 22
Direct
0.105 0.105 0.013
0.367 0.367 0.347
0.633 0.633 0.653
0.895 0.895 0.987
0.000 0.000 0.000
0.070 0.070 0.361
0.202 0.202 0.942
0.264 0.264 0.352
0.342 0.342 0.699
0.462 0.462 0.271
0.538 0.538 0.729
0.658 0.658 0.301
0.736 0.736 0.648
0.798 0.798 0.058
0.930 0.930 0.639
0.008 0.008 0.240
0.088 0.088 0.753
0.135 0.135 0.454
0.169 0.169 0.151
0.189 0.189 0.691
0.255 0.255 0.120
0.280 0.280 0.589
0.351 0.351 0.092
0.407 0.407 0.788
0.445 0.445 0.494
0.453 0.453 0.031
0.547 0.547 0.969
0.555 0.555 0.506
0.593 0.593 0.212
0.649 0.649 0.908
0.720 0.720 0.411
0.745 0.745 0.880
0.811 0.811 0.309
0.831 0.831 0.849
0.865 0.865 0.546
0.912 0.912 0.247
0.992 0.992 0.760
```

Principal peaks in the range 10 to 90 degrees two-theta, by angle:
| 2θ (°) | Rel. int. |
| --- | --- |
| 23.90 | 80 |
| 24.64 | 100 |
| 25.38 | 38 |
| 26.89 | 59 |
| 27.84 | 49 |
| 28.16 | 65 |
| 32.06 | 61 |
| 34.54 | 54 |
| 42.81 | 54 |
| 46.90 | 48 |
>>>
(Wanted)
Return every line above that contains the word "Kinematic".
(Written answer)
Kinematic intensities with the Lorentz-polarization factor, no thermal factor.